### Given
<<<
Record 1
Density functional theory data (r2SCAN) for a relaxed Yb3Sc crystal.

a b c (Å): 6.906 6.906 5.578
angles (deg): 90.00 90.00 120.00
Element x y z (fractional)
Yb 0.168 0.337 0.250
Yb 0.168 0.832 0.250
Yb 0.337 0.168 0.750
Yb 0.663 0.832 0.250
Yb 0.832 0.168 0.750
Yb 0.832 0.663 0.750
Sc 0.333 0.667 0.750
Sc 0.667 0.333 0.250

Values from the calculation:
ΔE_f, eV/atom: -0.02

=====

Record 2
Density functional theory data (r2SCAN) for a relaxed ScZn3 crystal.

a b c (Å): 5.866 5.866 4.333
angles (deg): 90.00 90.00 120.00
Element x y z (fractional)
Sc 0.333 0.667 0.250
Sc 0.667 0.333 0.750
Zn 0.157 0.315 0.750
Zn 0.157 0.843 0.750
Zn 0.315 0.157 0.250
Zn 0.685 0.843 0.750
Zn 0.843 0.157 0.250
Zn 0.843 0.685 0.250

Values from the calculation:
ΔE_f, eV/atom: -0.32

=====

Record 3
Density functional theory data (r2SCAN) for a relaxed ScZn12 crystal.

a b c (Å): 6.646 6.646 5.071
angles (deg): 112.37 112.37 81.71
Element x y z (fractional)
Sc 0.000 0.000 0.000
Zn 0.000 0.500 0.000
Zn 0.000 0.500 0.500
Zn 0.214 0.214 0.714
Zn 0.214 0.786 0.500
Zn 0.351 0.351 0.351
Zn 0.352 0.648 0.000
Zn 0.500 0.000 0.000
Zn 0.500 0.000 0.500
Zn 0.648 0.352 0.000
Zn 0.649 0.649 0.649
Zn 0.786 0.214 0.500
Zn 0.786 0.786 0.286

Values from the calculation:
ΔE_f, eV/atom: -0.15

=====

Record 4
Density functional theory data (r2SCAN) for a relaxed ScZn3 crystal.

a b c (Å): 4.464 4.464 4.464
angles (deg): 60.00 60.00 60.00
Element x y z (fractional)
Sc 0.000 0.000 0.000
Zn 0.250 0.250 0.250
Zn 0.500 0.500 0.500
Zn 0.750 0.750 0.750

Values from the calculation:
ΔE_f, eV/atom: -0.30

=====

Record 5
Density functional theory data (r2SCAN) for a relaxed ScZn crystal.

a b c (Å): 3.334 3.334 3.334
angles (deg): 90.00 90.00 90.00
Element x y z (fractional)
Sc 0.000 0.000 0.000
Zn 0.500 0.500 0.500

Values from the calculation:
ΔE_f, eV/atom: -0.40

=====

Record 6
Density functional theory data (r2SCAN) for a relaxed ZrSc2 crystal.

a b c (Å): 6.182 6.182 7.651
angles (deg): 102.92 102.92 30.87
Element x y z (fractional)
Zr 0.022 0.022 0.308
Zr 0.978 0.978 0.692
Sc 0.308 0.308 0.362
Sc 0.366 0.366 0.970
Sc 0.634 0.634 0.030
Sc 0.692 0.692 0.638

Values from the calculation:
ΔE_f, eV/atom: 0.00

=====

- Among the records above, which one has the highest ΔE_f?
  ZrSc2
>>>

### Activity
Now give back only the lines further above with the word "ZrSc2" in them.

### Solution
Density functional theory data (r2SCAN) for a relaxed ZrSc2 crystal.
  ZrSc2